With the Electronic Entertainment Expo — E3, parishioners — less than 2-weeks away, we’ve got over 30 games in 10 days to preview. Welcome to Day 2.
DEUS EX: MANKIND DIVIDED (Square Enix/Eidos Montreal – PS4, X1, PC – August 23) – To be perfectly blunt, I’ve never played any of the Deus Ex games; although I’ve heard nothing but good things about them, I just never had the time to invest in the series. That WAS until I watched the latest trailer for Mankind Divided (where yours truly was lovingly compared to the main character — or is it, more likely, the soon-to-be-perished bearded guy who frolicks around in joy with his soon-to-be-cyborg wife? Moody, that jerk!). MD picks up 2-years after the last, the especially lauded Deus Ex: Human Revolution, where the enhanced humans went slightly homicidal and things are not in a good place. While the trailer just dropped, gameplay walkthroughs have also been released and the game does look quite smooth, running on Eidos Montreal’s Dawn Engine. With only less than 3 months before the game is released, it will be interesting to get behind the “natural augmentation” of Adam Jensen–tasteless pre-order bonus methods or not.
== Attached: materials data ==
~~~
Record 1
Structure and calculated powder diffraction line list of Zn2CdAs2O8 (a DFT-relaxed cell (GGA-PBE, OQMD); Cu Kα (weighted mean of Kα1 and Kα2)).

Cell and atoms:
Unit cell a=5.243 b=5.353 c=6.650 alpha=70.64 beta=84.10 gamma=66.51
Space group P-1 (No. 2)
Unique sites:
Zn 0.223 0.278 0.175 (multiplicity 2)
Cd 0.500 0.500 0.500 (multiplicity 1)
As 0.147 0.111 0.732 (multiplicity 2)
O 0.120 0.345 0.869 (multiplicity 2)
O 0.171 0.901 0.293 (multiplicity 2)
O 0.251 0.266 0.486 (multiplicity 2)
O 0.379 0.770 0.848 (multiplicity 2)

Main lines, low angle first (2θ = 10–90°):
hkl 0 0 1, 2θ = 14.12°, I = 163
hkl 1 1 -1, 2θ = 28.18°, I = 783
hkl 0 1 2, 2θ = 28.83°, I = 1000
hkl 1 -1 0, 2θ = 31.53°, I = 877
hkl 1 2 1, 2θ = 33.84°, I = 556
hkl 2 1 0, 2θ = 34.71°, I = 791
hkl 2 1 1, 2θ = 35.70°, I = 268
hkl 0 2 -1, 2θ = 45.71°, I = 256
hkl 2 0 -2, 2θ = 46.84°, I = 199
hkl 0 3 1, 2θ = 56.39°, I = 202



Record 2
Structure and calculated powder diffraction line list of Cd2AsP3Pb2 (a DFT-relaxed cell (GGA-PBE, OQMD); Cu Kα (weighted mean of Kα1 and Kα2)).

Cell and atoms:
Unit cell a=13.578 b=6.104 c=6.123 alpha=90.00 beta=116.62 gamma=90.00
Space group C2 (No. 5)
Unique sites:
Cd 0.129 0.000 0.371 (multiplicity 4)
As 0.000 0.245 0.500 (multiplicity 2)
P 0.000 0.767 0.000 (multiplicity 2)
P 0.250 0.259 0.256 (multiplicity 4)
Pb 0.126 0.512 0.880 (multiplicity 4)

Main lines, low angle first (2θ = 10–90°):
hkl 2 0 -1, 2θ = 16.24°, I = 91
hkl 1 1 1, 2θ = 25.29°, I = 1000
hkl 0 2 0, 2θ = 29.21°, I = 173
hkl 2 0 2, 2θ = 41.81°, I = 295
hkl 4 2 0, 2θ = 41.99°, I = 291
hkl 5 1 -3, 2θ = 49.42°, I = 162
hkl 3 3 -1, 2θ = 49.54°, I = 160
hkl 7 1 -1, 2θ = 49.76°, I = 159
hkl 5 3 1, 2θ = 67.00°, I = 96
hkl 2 4 2, 2θ = 76.47°, I = 97



Record 3
Structure and calculated powder diffraction line list of CdAsPPb2 (a DFT-relaxed cell (GGA-PBE, OQMD); Cu Kα (weighted mean of Kα1 and Kα2)).

Cell and atoms:
Unit cell a=4.390 b=16.400 c=7.538 alpha=90.00 beta=90.00 gamma=90.00
Space group Cmc2_1 (No. 36)
Unique sites:
Cd 0.000 0.103 0.000 (multiplicity 4)
As 0.000 0.059 0.356 (multiplicity 4)
P 0.000 0.313 0.412 (multiplicity 4)
Pb 0.000 0.303 0.798 (multiplicity 4)
Pb 0.000 0.454 0.174 (multiplicity 4)

Main lines, low angle first (2θ = 10–90°):
hkl 1 1 1, 2θ = 24.08°, I = 328
hkl 0 4 1, 2θ = 24.72°, I = 561
hkl 0 2 2, 2θ = 26.02°, I = 280
hkl 1 3 1, 2θ = 28.64°, I = 1000
hkl 1 1 2, 2θ = 31.76°, I = 695
hkl 1 5 0, 2θ = 34.12°, I = 508
hkl 1 3 2, 2θ = 35.43°, I = 467
hkl 1 5 1, 2θ = 36.20°, I = 349
hkl 0 2 3, 2θ = 37.44°, I = 346
hkl 2 0 0, 2θ = 41.12°, I = 387



Record 4
Structure and calculated powder diffraction line list of Cd2As3PPd2 (a DFT-relaxed cell (GGA-PBE, OQMD); Cu Kα (weighted mean of Kα1 and Kα2)).

Cell and atoms:
Unit cell a=12.845 b=5.872 c=5.863 alpha=90.00 beta=116.65 gamma=90.00
Space group C2 (No. 5)
Unique sites:
Cd 0.119 0.000 0.359 (multiplicity 4)
As 0.000 0.695 0.500 (multiplicity 2)
As 0.250 0.236 0.790 (multiplicity 4)
~~~
“BISHOP” RICHARD ZOM” @eyebzombie
RED DEAD REDEMPTION 2 (Rockstar – PS4, X1, PC – TBA 2017) – On the heels of a long way to travel, we finally get a teaser to Red Dead Redemption 2. Of course, the Bishop’s first thoughts were: Is Rockstar finally giving us a sequel, or is this game a prequel? (As initially rumored). It would be nice to dive more into the “rugged jaw” life of who John Marston was, and even receive more story of his time with Dutch van der Linde and the gang he rode with; thus, the game has to take place before the introduction of the railway system, leading for more N’lins territory to explore and tear through! On the other hand, it’s hard not to be intrigued by the possibility of seeing Marson’s son Jack step into the role. Is that a dark silhouette I see riding off in the distance? Well, well, then; steer clear of that red-eye pistol carrying bad-ass.
The piece is interrupted by records of crystals:
=====
Simulated powder diffractogram of Hf2Ge2F for a wavelength of 1.5418 Å, from a crystal structure in Alexandria, relaxed with PBE.
Intensities are scaled so that the largest is 100.

Top 10 peaks for 2θ from 5° to 70°, by angle:
(hkl)  Position (°2θ)  I_rel
1 1 0  16.0  29.3
2 0 0  22.7  24.1
2 1 0  25.4  25.4
3 1 0  36.2  30.6
2 0 1  37.1  20.6
2 1 1  38.9  100.0
4 1 0  47.8  17.8
3 3 0  49.3  15.8
4 1 1  56.9  21.5
3 3 1  58.2  9.9

Atomic structure:
a = 7.844 Å, b = 7.844 Å, c = 3.084 Å
α = 90.00°, β = 90.00°, γ = 90.00°
Space group P4/mbm (No. 127)
Symmetry-distinct sites (fractional):
Hf 0.173 0.327 0.000 [4 per cell]
Ge 0.125 0.625 0.500 [4 per cell]
F 0.000 0.000 0.500 [2 per cell]

Simulated powder diffractogram of Hg12GeF7 for a wavelength of 1.5418 Å, from a crystal structure in Alexandria, relaxed with PBE.
Intensities are scaled so that the largest is 100.

Top 10 peaks for 2θ from 5° to 70°, by angle:
(hkl)  Position (°2θ)  I_rel
1 1 0  9.2  50.0
3 3 0  27.9  32.5
1 3 1  29.5  100.0
3 2 1  32.4  78.1
5 2 0  33.7  48.2
0 5 1  35.1  40.9
5 1 1  37.6  52.8
2 0 2  46.6  25.5
9 0 0  49.4  23.4
0 7 2  60.5  25.1

Atomic structure:
a = 19.1760 Å, b = 19.1760 Å, c = 4.0083 Å
α = 90.00°, β = 90.00°, γ = 120.00°
Space group R-3m (No. 166, hexagonal axes)
Symmetry-distinct sites (fractional):
Hg 0.0000 0.4154 0.0000 [18 per cell]
Hg 0.1111 0.2221 0.8457 [18 per cell]
Ge 0.0000 0.0000 0.5000 [3 per cell]
F 0.0000 0.0000 0.0000 [3 per cell]
F 0.0703 0.1405 0.3503 [18 per cell]

Simulated powder diffractogram of HgGeF4 for a wavelength of 1.5418 Å, from a crystal structure in Alexandria, relaxed with PBE.
Intensities are scaled so that the largest is 100.

Top 10 peaks for 2θ from 5° to 70°, by angle:
(hkl)  Position (°2θ)  I_rel
0 1 0  14.8  21.0
1 0 1  20.9  15.6
1 1 1  25.7  100.0
2 0 0  28.9  21.7
1 2 1  36.7  11.4
2 2 0  42.0  11.2
2 0 2  42.5  14.1
0 2 2  43.2  14.3
3 1 1  49.3  17.2
1 1 3  51.3  15.7

Atomic structure:
a = 6.181 Å, b = 5.993 Å, c = 5.866 Å
α = 90.00°, β = 90.00°, γ = 90.00°
Space group Pmn2_1 (No. 31)
Symmetry-distinct sites (fractional):
Hg 0.000 0.038 0.000 [2 per cell]
Ge 0.000 0.570 0.472 [2 per cell]
F 0.000 0.257 0.274 [2 per cell]
F 0.000 0.854 0.698 [2 per cell]
F 0.211 0.718 0.289 [4 per cell]

----------

Entry 1:
Diffraction record for CeInBr. The PXRD pattern is calculated, not measured: it uses the PBE geometry in Alexandria and a wavelength of 1.5418 Å.

Cell and atoms:
```
CeInBr
1.0
7.952 0.000 0.000
0.000 4.595 0.000
-0.426 0.000 11.308
Ce In Br
4 4 4
Cartesian
0.000 0.000 2.271
3.549 2.297 9.037
3.976 2.297 2.271
7.525 0.000 9.037
0.899 2.297 10.836
2.650 0.000 0.472
4.875 0.000 10.836
6.626 2.297 0.472
1.323 2.297 3.889
2.226 0.000 7.419
5.299 0.000 3.889
6.202 2.297 7.419
```

Most intense lines, 2θ from 10° to 90°, low angle first:
2θ (°)	I_rel
26.9	38
27.7	100
32.1	34
32.4	16
33.0	45
39.2	84
39.8	22
45.8	29
47.0	14
48.2	17
51.6	17
62.8	13

***

Entry 2:
=====
Here the piece continues:

These records of crystals were left in the text by mistake:
........
# 1
This entry pairs a crystal structure of Er2Cu3Si with its simulated powder diffractogram. Radiation: λ = 1.5418 Å (Cu Kα). Structure: a cell relaxed with PBE.

Largest 12 diffraction maxima, by angle, 5 to 70 degrees two-theta:
24.34°, I = 15
24.76°, I = 28
35.15°, I = 50
35.45°, I = 100
43.09°, I = 45
43.86°, I = 22
51.22°, I = 14
56.56°, I = 13
57.41°, I = 24
57.71°, I = 6
69.11°, I = 21
69.68°, I = 11

Cell and atoms:
```
data_Er2Cu3Si
_cell_length_a 4.128
_cell_length_b 3.566
_cell_length_c 7.314
_cell_angle_alpha 90.00
_cell_angle_beta 90.08
_cell_angle_gamma 90.00
_symmetry_space_group_name_H-M 'P 1 m 1'
_symmetry_Int_Tables_number 6
loop_
_symmetry_equiv_pos_as_xyz
'x,y,z'
'x,-y,z'
loop_
_atom_site_label
_atom_site_fract_x
_atom_site_fract_y
_atom_site_fract_z
_atom_site_occupancy
Er1 0.000 0.000 0.000 1
Er2 0.500 0.000 0.497 1
Cu1 0.000 0.500 0.339 1
Cu2 0.500 0.500 0.161 1
Cu3 0.500 0.500 0.824 1
Si1 0.000 0.500 0.666 1
```

---

# 2
This entry pairs a crystal structure of Cd4GeSe6 with its simulated powder diffractogram. Radiation: λ = 1.5418 Å (Cu Kα). Structure: a cell relaxed with PBE.

Largest 12 diffraction maxima, by angle, 5 to 70 degrees two-theta:
23.38°, I = 44
24.46°, I = 100
27.48°, I = 87
27.58°, I = 42
28.74°, I = 100
28.85°, I = 36
29.66°, I = 35
41.06°, I = 53
43.60°, I = 55
43.68°, I = 46
43.81°, I = 40
47.82°, I = 44

Cell and atoms:
```
data_Cd4GeSe6
_cell_length_a 13.165
_cell_length_b 7.613
_cell_length_c 13.187
_cell_angle_alpha 90.00
_cell_angle_beta 109.89
_cell_angle_gamma 90.00
_symmetry_space_group_name_H-M 'C 1 c 1'
_symmetry_Int_Tables_number 9
loop_
_symmetry_equiv_pos_as_xyz
'x,y,z'
'x,-y,z+1/2'
'x+1/2,y+1/2,z'
'x+1/2,-y+1/2,z+1/2'
loop_
_atom_site_label
_atom_site_fract_x
_atom_site_fract_y
_atom_site_fract_z
_atom_site_occupancy
Cd1 0.000 0.073 0.000 1
Cd2 0.157 0.394 0.495 1
Cd3 0.180 0.106 0.807 1
Cd4 0.365 0.205 0.157 1
Ge1 0.431 0.271 0.744 1
Se1 0.051 0.227 0.614 1
Se2 0.121 0.242 0.298 1
Se3 0.176 0.253 0.992 1
Se4 0.356 0.227 0.555 1
Se5 0.356 0.479 0.297 1
Se6 0.385 0.016 0.825 1
```

---

# 3
This entry pairs a crystal structure of Te3MoWS with its simulated powder diffractogram. Radiation: λ = 1.5418 Å (Cu Kα). Structure: a cell relaxed with PBE.

Largest 12 diffraction maxima, by angle, 5 to 70 degrees two-theta:
6.72°, I = 22
11.22°, I = 95
13.47°, I = 13
29.91°, I = 57
32.01°, I = 15
33.94°, I = 12
35.10°, I = 100
36.39°, I = 22
42.45°, I = 58
44.17°, I = 19
53.07°, I = 39
65.22°, I = 16

Cell and atoms:
```
data_Te3MoWS
_cell_length_a 3.4521
_cell_length_b 3.4521
_cell_length_c 39.4480
_cell_angle_alpha 90.00
_cell_angle_beta 90.00
_cell_angle_gamma 120.00
_symmetry_space_group_name_H-M 'P 3 m 1'
_symmetry_Int_Tables_number 156
loop_
_symmetry_equiv_pos_as_xyz
'x,y,z'
'-y,x-y,z'
'-x+y,-x,z'
'-y,-x,z'
'-x+y,y,z'
'x,x-y,z'
loop_
_atom_site_label
_atom_site_fract_x
_atom_site_fract_y
_atom_site_fract_z
_atom_site_occupancy
Te1 0.0000 0.0000 0.0000 1
Te2 0.0000 0.0000 0.0939 1
........
“DEACON” FELIPE CRESPO @theheelternal
FORZA HORIZON 3 (Microsoft/Turn 10 – Xbox One – TBA Q3/Q4 2016) – What game that I choose to write about? The one that’s all but confirmed and is basically a ghost. Seriously, all we know is that the cover car is the Lamborghini Centenario and that a placeholder case was MAYBE spotted in a Gamestop in Switzerland or something. Why did I pick it, then? Because damn it if Forza Horizon isn’t my absolute favorite racing series. It has an unparalleled feeling of freedom and discovery, a ridiculous amount of cars and tinkering that gearheads can enjoy, and you can choose whether you want to race clean and make precision turns or do some off road rally racing. The game can cater to pretty much any racing style you’re in the mood for. Other racers will force you get licenses to drive certain cars and get into certain races and that’s.. something. Personally, I’ll stick with Horizon (though here’s hoping you can skip the obnoxious video at the start, if it has one).